It remains to copy everything further down exactly.

<<<
1.
VASP calculation (GGA-PBE) on an optimized crystal structure of TaCuOs2.

a = 3.197 Å, b = 3.197 Å, c = 5.778 Å
α = 90.00°, β = 90.00°, γ = 90.00°
Space group P4/mmm (No. 123)
Unique sites:
Ta: 0.000 0.000 0.000 [1 per cell]
Cu: 0.000 0.000 0.500 [1 per cell]
Os: 0.500 0.500 0.266 [2 per cell]

Properties
Energy above the lowest structure with this stoichiometry (meV per atom): 38

2.
VASP calculation (GGA-PBE) on an optimized crystal structure of TaTiCu2Os.

a = 4.611 Å, b = 4.611 Å, c = 4.611 Å
α = 90.00°, β = 90.00°, γ = 90.00°
Space group P4/mmm (No. 123)
Unique sites:
Ta: 0.000 0.000 0.000 [1 per cell]
Ti: 0.000 0.000 0.500 [1 per cell]
Cu: 0.000 0.500 0.000 [2 per cell]
Os: 0.500 0.500 0.500 [1 per cell]

3.
VASP calculation (GGA-PBE) on an optimized crystal structure of TaTiCuOs.

a = 6.262 Å, b = 6.262 Å, c = 6.262 Å
α = 90.00°, β = 90.00°, γ = 90.00°
Space group F-43m (No. 216)
Unique sites:
Ta: 0.000 0.000 0.000 [4 per cell]
Ti: 0.000 0.000 0.500 [4 per cell]
Cu: 0.250 0.250 0.250 [4 per cell]
Os: 0.250 0.250 0.750 [4 per cell]

4.
VASP calculation (GGA-PBE) on an optimized crystal structure of TaVCuOs.

a = 6.187 Å, b = 6.187 Å, c = 6.187 Å
α = 90.00°, β = 90.00°, γ = 90.00°
Space group F-43m (No. 216)
Unique sites:
Ta: 0.000 0.000 0.000 [4 per cell]
V: 0.000 0.000 0.500 [4 per cell]
Cu: 0.250 0.250 0.250 [4 per cell]
Os: 0.250 0.250 0.750 [4 per cell]

5.
VASP calculation (GGA-PBE) on an optimized crystal structure of Tb5Cu2Os.

a = 7.033 Å, b = 7.033 Å, c = 15.446 Å
α = 90.00°, β = 90.00°, γ = 90.00°
Space group I4/mcm (No. 140)
Unique sites:
Tb: 0.000 0.000 0.000 [4 per cell]
Tb: 0.176 0.324 0.153 [16 per cell]
Cu: 0.120 0.380 0.500 [8 per cell]
Os: 0.000 0.000 0.250 [4 per cell]

6.
VASP calculation (GGA-PBE) on an optimized crystal structure of Tb5Cu4Os.

a = 3.447 Å, b = 3.447 Å, c = 17.652 Å
α = 90.00°, β = 90.00°, γ = 90.00°
Space group P4/mmm (No. 123)
Unique sites:
Tb: 0.000 0.000 0.000 [1 per cell]
Tb: 0.000 0.000 0.201 [2 per cell]
Tb: 0.000 0.000 0.405 [2 per cell]
Cu: 0.500 0.500 0.100 [2 per cell]
Cu: 0.500 0.500 0.298 [2 per cell]
Os: 0.500 0.500 0.500 [1 per cell]

7.
VASP calculation (GGA-PBE) on an optimized crystal structure of TbCuOs.

a = 8.328 Å, b = 5.396 Å, c = 5.106 Å
α = 90.00°, β = 104.71°, γ = 90.00°
Space group C2/m (No. 12)
Unique sites:
Tb: 0.152 0.000 0.405 [4 per cell]
Cu: 0.250 0.250 0.000 [4 per cell]
Os: 0.006 0.500 0.264 [4 per cell]

Properties
Energy above the lowest structure with this stoichiometry (meV per atom): 337

8.
VASP calculation (GGA-PBE) on an optimized crystal structure of TbCu4Os.

a = 7.034 Å, b = 7.034 Å, c = 7.034 Å
α = 90.00°, β = 90.00°, γ = 90.00°
Space group F-43m (No. 216)
Unique sites:
Tb: 0.000 0.000 0.000 [4 per cell]
Cu: 0.124 0.124 0.624 [16 per cell]
Os: 0.250 0.250 0.250 [4 per cell]

9.
VASP calculation (GGA-PBE) on an optimized crystal structure of Tb4Cu2Os.

a = 4.8904 Å, b = 4.8904 Å, c = 23.8803 Å
α = 90.00°, β = 90.00°, γ = 120.00°
Space group R-3m (No. 166, hexagonal axes)
Unique sites:
Tb: 0.0000 0.0000 0.1221 [6 per cell]
Tb: 0.0000 0.0000 0.3738 [6 per cell]
Cu: 0.0000 0.0000 0.2503 [6 per cell]
Os: 0.0000 0.0000 0.0000 [3 per cell]

10.
VASP calculation (GGA-PBE) on an optimized crystal structure of Tb3Cu2Os.

a = 4.903 Å, b = 14.653 Å, c = 6.987 Å
α = 90.00°, β = 90.00°, γ = 90.00°
Space group Cmmm (No. 65)
Unique sites:
Tb: 0.000 0.000 0.241 [4 per cell]
Tb: 0.000 0.331 0.240 [8 per cell]
Cu: 0.000 0.166 0.500 [4 per cell]
Cu: 0.000 0.500 0.000 [2 per cell]
Cu: 0.000 0.500 0.500 [2 per cell]
Os: 0.000 0.165 0.000 [4 per cell]

11.
VASP calculation (GGA-PBE) on an optimized crystal structure of Tb12Cu6Os.

a = 12.2947 Å, b = 12.2947 Å, c = 12.0261 Å
α = 90.00°, β = 90.00°, γ = 120.00°
Space group R-3 (No. 148, hexagonal axes)
Unique sites:
Tb: 0.0243 0.2013 0.3911 [18 per cell]
Tb: 0.0380 0.1978 0.8763 [18 per cell]
Cu: 0.0412 0.2688 0.6439 [18 per cell]
Os: 0.0000 0.0000 0.0000 [3 per cell]

12.
>>>

1.
VASP calculation (GGA-PBE) on an optimized crystal structure of TaCuOs2.

a = 3.197 Å, b = 3.197 Å, c = 5.778 Å
α = 90.00°, β = 90.00°, γ = 90.00°
Space group P4/mmm (No. 123)
Unique sites:
Ta: 0.000 0.000 0.000 [1 per cell]
Cu: 0.000 0.000 0.500 [1 per cell]
Os: 0.500 0.500 0.266 [2 per cell]

Properties
Energy above the lowest structure with this stoichiometry (meV per atom): 38

2.
VASP calculation (GGA-PBE) on an optimized crystal structure of TaTiCu2Os.

a = 4.611 Å, b = 4.611 Å, c = 4.611 Å
α = 90.00°, β = 90.00°, γ = 90.00°
Space group P4/mmm (No. 123)
Unique sites:
Ta: 0.000 0.000 0.000 [1 per cell]
Ti: 0.000 0.000 0.500 [1 per cell]
Cu: 0.000 0.500 0.000 [2 per cell]
Os: 0.500 0.500 0.500 [1 per cell]

3.
VASP calculation (GGA-PBE) on an optimized crystal structure of TaTiCuOs.

a = 6.262 Å, b = 6.262 Å, c = 6.262 Å
α = 90.00°, β = 90.00°, γ = 90.00°
Space group F-43m (No. 216)
Unique sites:
Ta: 0.000 0.000 0.000 [4 per cell]
Ti: 0.000 0.000 0.500 [4 per cell]
Cu: 0.250 0.250 0.250 [4 per cell]
Os: 0.250 0.250 0.750 [4 per cell]

4.
VASP calculation (GGA-PBE) on an optimized crystal structure of TaVCuOs.

a = 6.187 Å, b = 6.187 Å, c = 6.187 Å
α = 90.00°, β = 90.00°, γ = 90.00°
Space group F-43m (No. 216)
Unique sites:
Ta: 0.000 0.000 0.000 [4 per cell]
V: 0.000 0.000 0.500 [4 per cell]
Cu: 0.250 0.250 0.250 [4 per cell]
Os: 0.250 0.250 0.750 [4 per cell]

5.
VASP calculation (GGA-PBE) on an optimized crystal structure of Tb5Cu2Os.

a = 7.033 Å, b = 7.033 Å, c = 15.446 Å
α = 90.00°, β = 90.00°, γ = 90.00°
Space group I4/mcm (No. 140)
Unique sites:
Tb: 0.000 0.000 0.000 [4 per cell]
Tb: 0.176 0.324 0.153 [16 per cell]
Cu: 0.120 0.380 0.500 [8 per cell]
Os: 0.000 0.000 0.250 [4 per cell]

6.
VASP calculation (GGA-PBE) on an optimized crystal structure of Tb5Cu4Os.

a = 3.447 Å, b = 3.447 Å, c = 17.652 Å
α = 90.00°, β = 90.00°, γ = 90.00°
Space group P4/mmm (No. 123)
Unique sites:
Tb: 0.000 0.000 0.000 [1 per cell]
Tb: 0.000 0.000 0.201 [2 per cell]
Tb: 0.000 0.000 0.405 [2 per cell]
Cu: 0.500 0.500 0.100 [2 per cell]
Cu: 0.500 0.500 0.298 [2 per cell]
Os: 0.500 0.500 0.500 [1 per cell]

7.
VASP calculation (GGA-PBE) on an optimized crystal structure of TbCuOs.

a = 8.328 Å, b = 5.396 Å, c = 5.106 Å
α = 90.00°, β = 104.71°, γ = 90.00°
Space group C2/m (No. 12)
Unique sites:
Tb: 0.152 0.000 0.405 [4 per cell]
Cu: 0.250 0.250 0.000 [4 per cell]
Os: 0.006 0.500 0.264 [4 per cell]

Properties
Energy above the lowest structure with this stoichiometry (meV per atom): 337

8.
VASP calculation (GGA-PBE) on an optimized crystal structure of TbCu4Os.

a = 7.034 Å, b = 7.034 Å, c = 7.034 Å
α = 90.00°, β = 90.00°, γ = 90.00°
Space group F-43m (No. 216)
Unique sites:
Tb: 0.000 0.000 0.000 [4 per cell]
Cu: 0.124 0.124 0.624 [16 per cell]
Os: 0.250 0.250 0.250 [4 per cell]

9.
VASP calculation (GGA-PBE) on an optimized crystal structure of Tb4Cu2Os.

a = 4.8904 Å, b = 4.8904 Å, c = 23.8803 Å
α = 90.00°, β = 90.00°, γ = 120.00°
Space group R-3m (No. 166, hexagonal axes)
Unique sites:
Tb: 0.0000 0.0000 0.1221 [6 per cell]
Tb: 0.0000 0.0000 0.3738 [6 per cell]
Cu: 0.0000 0.0000 0.2503 [6 per cell]
Os: 0.0000 0.0000 0.0000 [3 per cell]

10.
VASP calculation (GGA-PBE) on an optimized crystal structure of Tb3Cu2Os.

a = 4.903 Å, b = 14.653 Å, c = 6.987 Å
α = 90.00°, β = 90.00°, γ = 90.00°
Space group Cmmm (No. 65)
Unique sites:
Tb: 0.000 0.000 0.241 [4 per cell]
Tb: 0.000 0.331 0.240 [8 per cell]
Cu: 0.000 0.166 0.500 [4 per cell]
Cu: 0.000 0.500 0.000 [2 per cell]
Cu: 0.000 0.500 0.500 [2 per cell]
Os: 0.000 0.165 0.000 [4 per cell]

11.
VASP calculation (GGA-PBE) on an optimized crystal structure of Tb12Cu6Os.

a = 12.2947 Å, b = 12.2947 Å, c = 12.0261 Å
α = 90.00°, β = 90.00°, γ = 120.00°
Space group R-3 (No. 148, hexagonal axes)
Unique sites:
Tb: 0.0243 0.2013 0.3911 [18 per cell]
Tb: 0.0380 0.1978 0.8763 [18 per cell]
Cu: 0.0412 0.2688 0.6439 [18 per cell]
Os: 0.0000 0.0000 0.0000 [3 per cell]

12.